(Material)
____________
This record from the OMol25 dataset describes the molecule C6H12INO3 in a non-equilibrium geometry. The level of theory is ωB97M-V/def2-TZVPD.

Output
spin multiplicity: 3
orbital gap (alpha / beta): 6.924 / 6.161 eV
relative energy (zero: lowest compared OMol25 entry of this formula, charge and spin): 0.0 kJ/mol
M: 273.07 g mol⁻¹
total charge: 0
HOMO energy (alpha / beta): -6.665 / -9.606 eV
LUMO level (alpha / beta): 0.259 / -3.445 eV
largest force on an atom: 0.1162 Eh/bohr
E: -22142.905 eV

XYZ file:
```
23
Properties=species:S:1:pos:R:3:forces:R:3:lowdin_charge:R:1
C -1.12310 0.08254 0.05013 -0.20 0.28 0.24 -0.55
C 0.08623 0.93838 2.15033 -0.13 -0.17 -0.08 -0.01
H -0.06883 -2.08424 -1.35826 -0.02 -0.08 -0.03 0.05
H 0.88461 -1.77223 0.09476 0.05 -0.10 0.07 0.07
C 0.08001 0.01759 -0.86722 -0.06 0.16 -0.37 -0.45
H 0.11148 0.79067 3.22778 0.02 -0.08 0.02 0.09
H 1.55735 -1.42153 -1.49236 0.08 0.06 -0.04 0.09
O -2.95453 1.79311 0.32114 -5.31 -0.12 2.16 -0.06
O -1.06200 2.58347 -0.35329 4.50 3.59 -1.57 0.10
O -2.05505 -0.20098 2.27577 -0.12 -0.02 0.39 -0.09
C -0.86098 -0.10727 1.55227 -0.03 0.33 0.24 -0.48
C -0.21762 0.48150 -2.29469 0.07 0.05 0.12 -0.08
H -0.40447 -1.09840 1.67543 -0.01 0.09 -0.23 0.14
H -0.29765 1.56167 -2.34985 -0.09 0.12 0.02 0.07
H 1.09535 0.82199 1.76563 0.12 0.04 -0.05 0.08
H 0.58992 0.17344 -2.95101 0.13 -0.05 -0.09 0.08
I -2.78243 -1.13635 -0.51694 0.32 0.21 -0.22 1.12
H 0.83877 0.68602 -0.44522 -0.12 -0.04 0.05 0.14
N -1.81772 1.71662 -0.03444 0.93 -4.31 -0.44 -0.45
H -1.13892 0.04286 -2.66713 -0.09 -0.09 -0.06 0.05
H -2.55088 0.62820 2.23179 0.05 0.08 -0.21 0.09
H -0.24715 1.95519 1.95535 -0.06 0.04 -0.07 0.08
C 0.64625 -1.40556 -0.90013 -0.04 0.00 0.17 -0.08
```
Positions in Å, forces in eV/Å.


No. 1
42
Properties=species:S:1:pos:R:3 method="wB97M-V/def2-TZVPD" energy_ha=-1069.91828 relative_energy_kcal_mol=177.4 lumo_energy_ha=0.00360 charge=0 homo_lumo_gap_ev=9.89
H 1.65132 -0.30903 -0.29487
H 0.33433 -0.25726 0.34945
H 0.16961 -2.20363 1.58137
H 0.99437 -3.49110 1.15458
H -2.75922 -1.89644 2.09980
H -1.66947 -1.43256 1.31887
H -0.89912 1.62386 -2.91780
H -1.30861 0.56353 -2.00105
H -3.03961 -2.37589 -0.22610
H -4.26183 -3.34626 -0.72455
H -0.78637 0.37572 1.77661
H 0.58347 0.68384 2.04235
H -3.00867 2.51172 0.36265
H -3.90277 3.84927 0.15365
H 4.76699 1.34351 -0.90398
H 4.60439 1.74918 -2.21027
H 4.26541 -1.46510 -1.74966
H 4.58354 0.08883 -2.10271
H -3.10697 1.41064 -0.98706
H -3.46236 0.40414 -2.21634
H 3.60957 0.24269 4.03798
H 2.21778 0.28515 4.17950
H 1.18522 -3.05754 -1.46831
H 2.56069 -2.31823 -1.85430
H -1.19191 -1.62595 -1.24140
H -1.33664 -0.49335 -0.41566
H -0.49082 4.91673 1.90396
H 0.03575 3.70007 0.86182
O 1.18947 -0.58384 0.49261
O 1.01469 -2.75557 1.76313
O -2.58519 -1.43338 1.23976
O -0.94345 0.71910 -2.90873
O -4.06160 -2.53730 -0.27130
O -0.15042 1.09286 1.68068
O -3.17855 3.24395 -0.22752
O 4.68360 2.15061 -1.41132
O 3.90924 -0.68547 -2.20448
O -2.84035 0.58193 -1.53522
O 2.90129 0.08468 3.50185
O 1.68780 -2.30414 -1.34774
O -1.32634 -1.48978 -0.34299
O -0.63823 4.43979 1.06275

---

No. 2
42
Properties=species:S:1:pos:R:3 method="wB97M-V/def2-TZVPD" energy_ha=-1070.09981 relative_energy_kcal_mol=63.5 lumo_energy_ha=-0.01056 charge=0 homo_lumo_gap_ev=10.78
O -3.20706 0.26396 5.38716
H -2.66538 0.80423 4.81189
H -3.84312 0.87408 5.76056
O 0.38127 5.09825 0.25181
H -0.18681 5.36878 -0.46954
H 0.40447 5.85602 0.83616
O 4.41418 -1.18746 2.61211
H 3.70687 -1.74511 2.28808
H 4.15027 -0.29990 2.36962
O -0.32641 -4.85951 -2.58975
H 0.13921 -5.40535 -3.22338
H 0.08716 -5.06041 -1.75022
O 3.61381 2.55493 1.24618
H 3.71646 2.37562 0.31155
H 3.11989 3.37414 1.28054
O -4.32923 1.14529 0.40840
H -4.63353 0.24251 0.50132
H -3.78486 1.13523 -0.37886
O -0.21637 2.48323 3.20056
H -0.05682 3.08516 2.47361
H 0.13563 2.93475 3.96767
O -0.54606 -0.96227 -4.34075
H -0.83135 -1.61977 -3.70629
H -0.10998 -1.46558 -5.02832
O 3.72622 -2.07377 -2.34244
H 3.68222 -2.83322 -1.76147
____________
(What to do)
Return every line further above that contains the word "largest".
(Done)
largest force on an atom: 0.1162 Eh/bohr